Environmental award to martial-arts school

Environmental award to martial-arts school

Local martial arts school wins environmental award.

Date published: 10/20/2007


A martial-arts school in Spotsylvania County has won recognition for its environmentally friendly headquarters development.

# Between two parts of the page: data records
First-principles (PBE) data for a relaxed HfThSn2 crystal, as listed in Alexandria.

Cell lengths 3.9222, 3.9222, 6.6238 Å; angles 90.00, 90.00, 90.00 degrees
Closest atoms and distances in Å follow each position.
Element x y z (fractional)
Hf 0.0000 0.0000 0.0000  8 Sn 3.13, 2 Th 3.31
Th 0.0000 0.0000 0.5000  2 Hf 3.31, 8 Sn 3.33
Sn 0.5000 0.5000 0.2204  1 Sn 2.92, 4 Hf 3.13
Sn 0.5000 0.5000 0.7796  1 Sn 2.92, 4 Hf 3.13

## Properties
- energy of formation from the pure elements (eV per formula unit) = -1.36
- total DFT energy (no corrections) (eV per cell) = -26.74
- distance to the lowest polymorph of the same formula (kcal/mol of atoms) = 0.00

***

First-principles (PBE) data for a relaxed BiP crystal, as listed in Alexandria.

Cell lengths 4.2849, 4.2849, 4.2849 Å; angles 57.42, 57.42, 57.42 degrees
Closest atoms and distances in Å follow each position.
Element x y z (fractional)
Bi 0.0000 0.0000 0.0000  3 P 2.77
P 0.5345 0.5345 0.5345  3 Bi 2.77

## Properties
- energy of formation from the pure elements (eV per formula unit) = 0.18
- total DFT energy (no corrections) (eV per cell) = -9.11
- distance to the lowest polymorph of the same formula (kcal/mol of atoms) = 0.50

***

First-principles (PBE) data for a relaxed ScSi2Os crystal, as listed in Alexandria.

Cell lengths 8.6993, 8.6993, 8.6993 Å; angles 151.22, 151.22, 41.15 degrees
Closest atoms and distances in Å follow each position.
Element x y z (fractional)
Sc 0.0000 0.0000 0.0000  4 Si 2.83, 4 Os 3.06
Sc 0.7500 0.2500 0.5000  4 Si 2.83, 4 Os 3.06
Si 0.2562 0.6250 0.1312  2 Os 2.36, 2 Si 2.39
Si 0.3750 0.5062 0.6312  2 Os 2.36, 2 Si 2.39
Si 0.4938 0.1250 0.8688  2 Os 2.36, 2 Si 2.39
Si 0.8750 0.7438 0.3688  2 Os 2.36, 2 Si 2.39
Os 0.2500 0.7500 0.5000  4 Si 2.36
Os 0.5000 0.5000 0.0000  4 Si 2.36

## Properties
- total DFT energy (no corrections) (eV per cell) = -56.95
- E_form (uncorrected) (eV/f.u.) = -0.067

***

First-principles (PBE) data for a relaxed BeGa3Rh crystal, as listed in Alexandria.

Cell lengths 4.7746, 4.7746, 4.7746 Å; angles 90.00, 90.00, 90.00 degrees
Closest atoms and distances in Å follow each position.
Element x y z (fractional)
Be 0.0000 0.0000 0.0000  12 Ga 3.38
Ga 0.0000 0.5000 0.5000  2 Rh 2.39
Ga 0.5000 0.0000 0.5000  2 Rh 2.39
Ga 0.5000 0.5000 0.0000  2 Rh 2.39
Rh 0.5000 0.5000 0.5000  6 Ga 2.39

## Properties
- energy of formation from the pure elements (eV per formula unit) = 1.56
- total DFT energy (no corrections) (eV per cell) = -18.60
- distance to the lowest polymorph of the same formula (kcal/mol of atoms) = 0.00

***

First-principles (PBE) data for a relaxed NdSm6Tm2Th crystal, as listed in Alexandria.

Cell lengths 8.8246, 8.8246, 9.6273 Å; angles 93.71, 93.71, 115.79 degrees
Closest atoms and distances in Å follow each position.
Element x y z (fractional)
Nd 0.0943 0.9057 0.7500  6 Sm 3.46-3.55, 2 Tm 3.56
Nd 0.9057 0.0943 0.2500  6 Sm 3.46-3.55, 2 Tm 3.56
Sm 0.0156 0.7969 0.3825  3 Sm 3.27-3.45, 3 Tm 3.32-3.48, 2 Nd 3.46-3.55

Aikido in Fredericksburg is planning a new headquarters facility on a 20-acre parcel on Hickory Ridge Road near Massaponax High School. Construction is expected to start early next year, and it’s set to open by summer.

The nonprofit’s site design was recently recognized by the Low Impact Development Recognition Program, which is sponsored by the U.S. Environmental Protection Agency.

Aikido in Fredericksburg was recognized for landscaping that included low-impact stormwater management, an organic vegetable and ornamental garden, wildlife habitat improvement and a small greenhouse.

Aikido in Fredericksburg is now in a small facility on Leonard Drive in Spotsylvania. It teaches aikido, a nonviolent martial art that focuses on defense without counterattack.

Aviv Goldsmith, chief instructor, said the low-impact design can be scaled down for residential use or up for larger commercial or industrial projects. He said the nonprofit is continuing to raise money for its new headquarters, which will include practice space, an outdoor training area, a forest path, meditation areas and a community garden.

For more information, visit aikidoinn.com.


It’d never be a karate place because of all the pine boards they break.

Dude, fuck off with this shit no one is going to give a shit about. This thread fucking sucks.

Records of crystals, kept here for reference
=====
(1)
VASP calculation (PBE-GGA) on an optimized crystal structure of PrTh2Pt2.

Summary:
E, eV/f.u.: -35.5
M_tot, μB/f.u.: 0.0
Formation energy, eV per atom: -0.762
Energy above the lowest structure with this stoichiometry, meV/atom: 175

abc: 5.292 5.292 6.286
angles: 114.96 114.96 90.02
Sites, in units of the cell vectors:
Pr: 0.000 0.000 0.000
Th: 0.250 0.750 0.500
Th: 0.750 0.250 0.500
Pt: 0.632 0.632 0.265
Pt: 0.368 0.368 0.735

---

(2)
VASP calculation (PBE-GGA) on an optimized crystal structure of RbSrNi2Ge.

Summary:
E, eV/f.u.: -16.7
M_tot, μB/f.u.: 0.6
Formation energy, eV per atom: 0.426

abc: 4.744 5.737 4.744
angles: 90.00 90.00 90.00
Last column: magnetic moment on the atom in μB.
Sites, in units of the cell vectors:
Sr: 0.000 0.500 0.000  -0.01
Ge: 0.000 0.000 0.000  0.02
Rb: 0.500 0.500 0.500  -0.01
Ni: 0.000 0.000 0.500  0.25
Ni: 0.500 0.000 0.000  0.40

---

(3)
VASP calculation (PBE-GGA) on an optimized crystal structure of NaTaRuO6.

Summary:
Energy relative to the elements, uncorrected, meV per atom: -1686
E, eV/f.u.: -67.4
M_tot, μB/f.u.: 2.0

abc: 5.255 5.255 10.365
angles: 90.00 90.00 120.00
Last column: magnetic moment on the atom in μB.
Sites, in units of the cell vectors:
Na: 0.000 0.000 0.000  0.00
Na: 0.000 0.000 0.500  0.00
Ta: 0.667 0.333 0.250  0.06
Ta: 0.333 0.667 0.750  0.06
Ru: 0.333 0.667 0.250  1.34
Ru: 0.667 0.333 0.750  1.34
O: 0.619 0.627 0.146  0.08
O: 0.008 0.381 0.146  0.08
O: 0.381 0.008 0.646  0.08
O: 0.992 0.619 0.854  0.08
O: 0.373 0.381 0.354  0.08
O: 0.008 0.627 0.354  0.08
O: 0.627 0.008 0.854  0.08
O: 0.619 0.992 0.354  0.08
O: 0.992 0.373 0.646  0.08
O: 0.373 0.992 0.146  0.08
O: 0.627 0.619 0.646  0.08
O: 0.381 0.373 0.854  0.08

---

(4)
VASP calculation (PBE-GGA) on an optimized crystal structure of KTe2Se.

Summary:
Energy relative to the elements, uncorrected, meV per atom: -467
E, eV/f.u.: -12.7
M_tot, μB/f.u.: 0.0

abc: 4.542 4.541 7.237
angles: 90.00 90.00 90.00
Sites, in units of the cell vectors:
K: 0.000 0.000 0.622
Te: 0.000 0.000 0.114
Te: 0.500 0.500 0.055
Se: 0.500 0.500 0.708

---

(5)
VASP calculation (PBE-GGA) on an optimized crystal structure of KTbPrNbO6.

Summary:
Energy relative to the elements, uncorrected, meV per atom: -2749
E, eV/f.u.: -77.8
M_tot, μB/f.u.: 0.0

abc: 5.961 5.961 5.961
angles: 60.00 60.00 60.00
Sites, in units of the cell vectors:
K: 0.250 0.250 0.250
Tb: 0.500 0.500 0.500
Pr: 0.750 0.750 0.750
Nb: 0.000 0.000 0.000
O: 0.237 0.763 0.237
O: 0.763 0.237 0.763
O: 0.237 0.763 0.763
O: 0.763 0.237 0.237
O: 0.237 0.237 0.763
O: 0.763 0.763 0.237

---

(6)
VASP calculation (PBE-GGA) on an optimized crystal structure of Sr4AsSeCl2.

Summary:
Energy relative to the elements, uncorrected, meV per atom: -1770
E, eV/f.u.: -32.7
M_tot, μB/f.u.: 0.0

abc: 4.486 7.557 7.753
angles: 70.01 90.00 90.00
Sites, in units of the cell vectors:
Sr: 0.000 0.734 0.749
Sr: 0.000 0.266 0.251
Sr: 0.500 0.732 0.262
Sr: 0.500 0.268 0.738
As: 0.000 0.500 0.500
Se: 0.500 0.500 0.000
=====

Crude but srsly wtf does this have to do with Bullshido? If an jkd guy starts a sandwich business is it worth reading about?

Bruce Lee sandwiches are the best ever!

**These crystal structures were left in the page by mistake:**
<<<
1.
Below is crystalline AcPmTmIn at its relaxed geometry, with properties calculated at the PBE level. Values from VASP.

Quantum ESPRESSO input file:
```
&SYSTEM
  ibrav = 0, nat = 4, ntyp = 4
/
ATOMIC_SPECIES
Ac 227.00 Ac.upf
Pm 145.00 Pm.upf
Tm 168.93 Tm.upf
In 114.82 In.upf
CELL_PARAMETERS angstrom
5.625 0.000 0.000
2.813 4.871 0.000
2.813 1.624 4.593
ATOMIC_POSITIONS crystal
Ac 0.750 0.750 0.750
Pm 0.500 0.500 0.500
Tm 0.000 0.000 0.000
In 0.250 0.250 0.250
```

Energy relative to the elements in meV/atom: -38.2
Space group: F-43m

2.
Below is crystalline AcPmTm2In4 at its relaxed geometry, with properties calculated at the PBE level. Values from VASP.

Quantum ESPRESSO input file:
```
&SYSTEM
  ibrav = 0, nat = 8, ntyp = 4
/
ATOMIC_SPECIES
Ac 227.00 Ac.upf
In 114.82 In.upf
Pm 145.00 Pm.upf
Tm 168.93 Tm.upf
CELL_PARAMETERS angstrom
-3.007 -3.894 2.335
2.351 -4.616 1.680
1.255 0.828 9.347
ATOMIC_POSITIONS crystal
Ac 0.000 0.000 0.000
In 0.622 0.622 0.134
In 0.378 0.378 0.866
In 0.128 0.128 0.617
In 0.872 0.872 0.383
Pm 0.500 0.500 0.500
Tm 0.750 0.750 0.749
Tm 0.250 0.250 0.251
```

Energy relative to the elements in meV/atom: -413.0
Space group: R-3m

3.
Below is crystalline AcPmZnIn at its relaxed geometry, with properties calculated at the PBE level. Values from VASP.

Quantum ESPRESSO input file:
```
&SYSTEM
  ibrav = 0, nat = 4, ntyp = 4
/
ATOMIC_SPECIES
Pm 145.00 Pm.upf
Ac 227.00 Ac.upf
Zn 65.41 Zn.upf
In 114.82 In.upf
CELL_PARAMETERS angstrom
5.529 0.000 0.000
2.764 4.788 0.000
2.764 1.596 4.514
ATOMIC_POSITIONS crystal
Pm 0.750 0.750 0.750
Ac 0.250 0.250 0.250
Zn 0.000 0.000 0.000
In 0.500 0.500 0.500
```

Energy relative to the elements in meV/atom: -327.3
Space group: F-43m
Polymorph energy (0 for the lowest one) in meV per atom: 32

4.
Below is crystalline AcPmZnIn at its relaxed geometry, with properties calculated at the PBE level. Values from VASP.

Quantum ESPRESSO input file:
```
&SYSTEM
  ibrav = 0, nat = 4, ntyp = 4
/
ATOMIC_SPECIES
Zn 65.41 Zn.upf
Pm 145.00 Pm.upf
Ac 227.00 Ac.upf
In 114.82 In.upf
CELL_PARAMETERS angstrom
3.854 0.000 0.000
0.000 3.854 0.000
0.000 0.000 7.888
ATOMIC_POSITIONS crystal
Zn 0.500 0.500 0.578
Pm 0.000 0.000 0.377
Ac 0.000 0.000 0.841
In 0.500 0.500 0.133
```

Energy relative to the elements in meV/atom: -359.2
Space group: P4mm
Polymorph energy (0 for the lowest one) in meV per atom: 0

5.
Below is crystalline AcPr3In4 at its relaxed geometry, with properties calculated at the PBE level. Values from VASP.

Quantum ESPRESSO input file:
```
&SYSTEM
  ibrav = 0, nat = 16, ntyp = 3
/
ATOMIC_SPECIES
In 114.82 In.upf
Pr 140.91 Pr.upf
Ac 227.00 Ac.upf
CELL_PARAMETERS angstrom
5.605 0.000 0.000
0.000 7.893 0.000
0.000 0.000 11.208
ATOMIC_POSITIONS crystal
In 0.500 0.760 0.500
In 0.001 0.760 0.750
In 0.001 0.240 0.750
In 0.999 0.760 0.250
In 0.999 0.240 0.250
In 0.500 0.760 0.000
In 0.500 0.240 0.000
In 0.500 0.240 0.500
Pr 0.000 0.000 0.500
Pr 0.501 0.000 0.750
Pr 0.499 0.500 0.250
Pr 0.000 0.000 0.000
>>>
**Back to the page:**

Cumdon is just that stupid.

It mentions something regarding a martial arts school. Whenever something make it into the news related in one way or another to a martial arts school, whether it’s positive or negative, or whether it has anything to do with the ability to kick ass, it’s worth mentioning… even if you are not interested on the topic.

This one has more to do with MA and bullshido than the retarded threads on socio-political-religious diatribes disguised as logical thinking that have been occuring in the last couple of weeks, crap more appropriate to sociocide.

What do you mean by ‘Bullshido’?
Do you even look at the rest of this sub-forum?


Muchacha, you lose all credibility when you defend Cumdon.

…is there a place I can purchase Bruce Lee sandwiches?

